Wednesday, July 29, 2009

The slow drift

Molecular data from another source follow
1.
A molecular structure, C11H23ClEuNO6P2, computed with ωB97M-V with the def2-TZVPD basis set.

spin multiplicity: 8
lowest unoccupied orbital energy (spin up / spin down): -3.21 / -3.21 eV
relative energy (zero: lowest compared OMol25 entry of this formula, charge and spin): 2.7 kcal/mol
total charge: +1
orbital gap (spin up / spin down): 7.5601 / 8.7124 eV
expectation value of S²: 15.760

Geometry (Å):
Eu: -0.0038 -1.5509 0.7366
Cl: -2.5405 -1.6916 2.4738
P: -2.1119 -1.0009 -1.4146
P: 1.6269 0.4828 1.9745
O: -3.6485 -0.9490 1.9295
O: 2.6031 -2.9617 1.1350
O: -2.8542 -2.3778 3.6931
O: -1.3720 -0.7813 2.6889
O: -2.0386 -2.6833 1.4394
O: 1.5601 -2.2284 -1.0480
N: 0.1742 0.9783 -0.7773
C: 0.9853 3.2447 -1.0050
C: -0.0841 2.1878 -2.8580
C: 0.7682 2.0765 -0.2576
C: 1.2312 2.1031 1.1954
C: 0.5650 3.3034 -2.3320
C: -1.0279 -0.1408 -2.6071
C: -0.2864 1.0627 -2.0454
C: 1.6031 1.0283 3.7141
C: -2.8931 -2.2425 -2.4979
C: 3.4114 0.3477 1.6255
C: -3.4957 0.1743 -1.2349
H: -0.4398 2.1600 -3.8878
H: 2.1612 -3.4790 1.8389
H: 3.9579 1.1495 2.1388
H: 0.7446 4.1956 -2.9325
H: -1.6377 0.1773 -3.4691
H: 3.7821 -0.6240 1.9872
H: 0.6289 1.5012 3.9157
H: -4.0616 -0.1276 -0.3434
H: -3.6063 -1.8089 -3.2127
H: 0.4311 2.5618 1.8126
H: 1.6990 0.1411 4.3572
H: 1.5122 4.0735 -0.5219
H: 2.1304 2.7431 1.2602
H: -0.2522 -0.9008 -2.9108
H: 1.8945 -2.3013 -1.9532
H: -2.1249 -2.8085 -3.0408
H: 3.5247 -2.8552 1.4295
H: -3.4295 -2.9388 -1.8384
H: 2.4189 1.7358 3.9295
H: 2.1853 -2.7434 -0.4452
H: 3.5841 0.4137 0.5416
H: -4.1543 0.1628 -2.1142
H: -3.1206 1.1907 -1.0695

Here are the natural (NBO) charges for atoms 1 to 5, given in e:
1 Eu 1.33
2 Cl 2.49
3 P 0.83
4 P 0.79
5 O -0.77

***

2.
A single C5H3NO molecule, computed with ωB97M-V with the def2-TZVPD basis set.

lowest unoccupied orbital energy: 0.13 eV
relative energy (zero: lowest compared OMol25 entry of this formula, charge and spin): 106.9 kcal/mol
SMILES: C#C[C@@]1(C#N)CO1
total charge: 0
orbital gap: 10.4849 eV

Geometry (Å):
O: -1.5984 -0.3466 0.7979
N: -1.1996 2.5247 -0.9626
C: -0.8936 1.5569 -0.4109
C: -0.6613 -0.9048 -0.5011
C: 0.8464 0.2108 0.7575
C: 1.9813 -0.1829 0.8187
C: -0.5154 0.3086 0.2676
H: -0.2895 -1.8252 -0.0822
H: -0.6628 -0.8466 -1.6069
H: 2.9929 -0.4948 0.9220

Here are the natural (NBO) charges for atoms 1 to 5, given in e:
1 O -0.43
2 N -0.27
3 C 0.26
4 C -0.04
5 C -0.03

***

3.
11 unconnected molecules or ions with the total composition H22O11, computed with ωB97M-V with the def2-TZVPD basis set.

lowest unoccupied orbital energy: -0.32 eV
relative energy (zero: lowest compared OMol25 entry of this formula, charge and spin): 20.1 kcal/mol
SMILES: O.O.O.O.O.O.O.O.O.O.O
total charge: 0
orbital gap: 9.5490 eV

Geometry (Å):
O: 2.2821 0.9997 1.7205
O: -1.7071 2.9890 -0.6733
O: -3.0433 -1.8022 -2.1510
O: -1.0902 1.6718 2.5808
O: -3.1887 0.1021 0.0215
O: 2.3991 -2.3146 -0.0646
O: -0.1712 0.1995 0.0485
O: 0.9035 3.3792 0.5498
O: 2.4858 0.5341 -1.1946
O: -0.1969 -2.4818 0.9135
O: -0.2521 -2.0062 -2.0925
The article goes on

I'm not sure even how to organize my thoughts right now, but I keep wondering what happened. In high school and college I had two really close friends. One was the best man in my wedding and the other was one of my groomsmen. We knew each other really well and had lots of fun together. (That is probably an understatement.) One of them practically lived at my house for several years. I considered them my brothers. Fast forward to now. I just read last week on facebook that one of them is getting divorced after almost 15 years of marriage. My heart hurts for them as a couple and also because I realized that I have let that friendship drift to where I don't even know him any more. It has been probably at least 6 or 7 years since we last talked. We used to touch base through phone calls and e-mails but those became more sporadic over time. We simply drifted due to the busyness of life. It wasn't intentional and maybe that was the problem. A relationship, whether it is a friend or a spouse, takes you being intentional about it. The last time I talked to my other friend has been about as long. Ironically, he showed up in my life again briefly after he went through a divorce and then slowly proceeded to drift out again. These were guys that I was in their weddings. People I used to count as my closest friends.

So what is the answer? I don't like when I've been told that is just life. People will pass through that are only there for a season. I don't like those answers. I don't ever approach a friendship going in thinking - oh well this might be good for awhile but if our friendship drifts apart, that is okay. For me, it means I am intentional. It means I continue to make every effort I can. I get frustrated when I feel a friendship is one sided or is taken for granted, but I don't want to simply allow it to drift. I hurt for those guys. I don't know how to undo the slow drift that has occurred, but I can try my best to keep it from happening again. How intentional are you in investing in the people in your life?

1 comment:

jamie said...

**The entry is interrupted by quantum chemistry results:**
<<<
[1]
DFT (ωB97M-V with the def2-TZVPD basis set) results for a structure of composition C5H6O2 in a non-equilibrium geometry.

**DFT total energy**: -344.325474 Ha
**HOMO energy**: -0.3525 Ha
**Net charge**: 0
**F_max**: 6.37 eV/Å
**Lowest unoccupied orbital energy**: 0.009 Eh
**Gap between HOMO and LUMO**: 9.826 eV
**Energy relative to the best compared isomer or geometry (same formula, charge and spin)**: 7.5222 eV

Each line ends with the Löwdin charge.
Geometry (Å):
C: 0.589 -1.457 -1.132  -0.0764
C: 0.840 -0.151 -0.067  -0.1873
C: 1.074 0.613 1.016  -0.0387
C: 0.059 1.154 -0.003  -0.1864
C: -1.544 0.858 0.052  -0.2855
H: -0.329 -2.209 -0.425  0.1729
H: 1.787 -1.965 -1.347  0.1192
H: 0.206 -1.030 -2.264  0.1123
H: 1.421 0.665 2.155  0.1535
H: 0.436 1.896 -0.660  0.0929
H: -0.531 0.516 1.981  0.1856
O: -1.428 0.118 1.347  -0.1195
O: -2.581 0.991 -0.653  0.0576

***

[2]
DFT (ωB97M-V with the def2-TZVPD basis set) results for a structure of composition C27H32BF2N3O3SeSiV.

**DFT total energy**: -5297.244706 Ha
**HOMO energy (alpha / beta)**: -0.5012 / -0.5012 Ha
**⟨S²⟩**: 0.765
**Net charge**: +2
**F_max**: 0.82 eV/Å
**Lowest unoccupied orbital energy (alpha / beta)**: -0.265 / -0.264 Eh
**Gap between HOMO and LUMO (alpha / beta)**: 6.424 / 6.463 eV
**Energy relative to the best compared isomer or geometry (same formula, charge and spin)**: 0.4460 eV
**Spin multiplicity**: 2

Each line ends with the Löwdin charge.
Geometry (Å):
V: 1.150 -0.172 0.274  0.9273
F: 3.400 -1.443 -1.231  0.2111
B: 2.086 -1.505 -1.107  -0.5708
F: 1.414 -2.375 -1.821  0.2328
Se: 2.356 -0.010 3.325  1.2415
N: 1.748 -1.059 1.959  -0.3309
C: 1.580 -2.298 2.423  -0.3135
C: 1.071 -3.408 1.701  -0.0015
C: 0.968 -4.595 2.355  -0.0022
C: 1.349 -4.763 3.728  -0.0245
C: 1.824 -3.727 4.454  0.0192
C: 1.944 -2.452 3.816  -0.3414
N: 2.360 -1.365 4.432  -0.1846
H: 0.761 -3.305 0.671  0.0981
H: 0.579 -5.455 1.824  0.1278
H: 1.241 -5.741 4.177  0.1246
H: 2.112 -3.816 5.492  0.1334
O: 2.090 3.445 0.019  0.1489
C: 2.745 2.446 -0.128  -0.5124
O: 2.365 1.231 0.198  -0.1667
C: 4.131 2.502 -0.770  -0.1339
N: 4.489 3.965 -0.883  0.1077
C: 4.932 4.230 -2.304  -0.0753
C: 4.095 3.237 -3.088  -0.1288
C: 4.147 1.977 -2.222  -0.0892
H: 4.858 2.000 -0.136  0.1719
H: 5.185 4.252 -0.196  0.1934
H: 3.616 4.475 -0.667  0.1665
H: 5.995 4.001 -2.359  0.1441
H: 4.770 5.279 -2.537  0.1431
H: 4.494 3.075 -4.086  0.1360
H: 3.072 3.604 -3.191  0.1223
H: 5.064 1.415 -2.397  0.1359
H: 3.313 1.303 -2.407  0.1193
C: -3.935 0.724 1.782  -0.0676
C: -2.473 0.259 1.699  -0.6005
C: -2.252 -0.902 2.677  -0.0653
C: -1.551 1.429 2.054  -0.0706
Si: -2.087 -0.338 -0.044  0.6765
O: -0.407 -0.801 0.101  -0.3505
C: -1.927 1.059 -1.275  -0.2022
C: -0.703 1.425 -1.833  -0.1001
C: -0.582 2.494 -2.709  -0.0682
C: -1.707 3.228 -3.050  -0.0539
C: -2.942 2.878 -2.520  -0.0464
C: -3.048 1.807 -1.647  -0.0682
C: -2.973 -1.849 -0.628  -0.2241
C: -4.363 -1.846 -0.783  -0.0850
C: -5.031 -2.977 -1.225  -0.0589
>>>

I understand the slow drift, especially the drift that involves old friends.

No. 1
The following is a DFT calculation (ωB97M-V/def2-TZVPD) of a 10-piece molecular cluster, C25H43Br18F3NO overall in a non-equilibrium geometry.

Values from the calculation:
* total energy: -47739.88179 Ha
* HOMO: -10.5712 eV
* net charge: +1
* frontier orbital gap: 5.380 eV

Element x y z (Å)
F 3.163 2.499 -1.134
C 4.497 2.349 -0.694
F 5.365 2.167 -1.815
F 4.542 1.105 0.018
O 4.939 3.335 0.220
C 4.697 4.679 -0.260
C 5.724 5.180 -1.386
C 7.233 4.715 -1.325
C 8.146 5.235 -2.486
N 7.655 6.063 -3.561
C 6.280 6.503 -3.627
C 5.214 6.098 -2.562
H 4.848 5.376 0.654
H 3.636 4.876 -0.636
H 7.641 4.040 -0.490
H 9.241 4.920 -2.526
H 8.291 6.357 -4.322
H 5.960 7.141 -4.514
H 4.116 6.395 -2.594
Br 2.222 2.744 4.595
C 2.590 1.656 3.020
C 1.525 0.607 2.816
Br 1.746 -0.877 4.061
H 3.589 1.239 3.148
H 2.600 2.360 2.185
H 1.612 0.160 1.823
H 0.512 0.988 2.951
Br -0.101 -2.734 0.255
C 0.223 -3.328 2.083
C -0.335 -4.711 2.317
Br -2.270 -4.655 2.525
H -0.204 -2.573 2.742
H 1.309 -3.328 2.193
H 0.042 -5.124 3.254
H -0.120 -5.407 1.506
Br -7.376 -4.974 -1.426
C -6.204 -4.208 -0.068
C -5.014 -3.526 -0.694
Br -3.692 -4.823 -1.298
H -5.933 -5.016 0.610
H -6.825 -3.485 0.465
H -4.491 -2.912 0.040
H -5.273 -2.911 -1.556
Br -2.583 1.400 2.993
C -3.508 -0.256 3.445
C -3.631 -1.160 2.245
Br -5.033 -0.548 1.035
H -4.469 0.024 3.877
H -2.891 -0.723 4.216
H -3.936 -2.162 2.550
H -2.713 -1.228 1.659
Br 3.630 -2.344 -1.615
C 3.117 -1.045 -2.975
C 1.687 -0.600 -2.796
Br 0.437 -1.955 -3.425
H 3.310 -1.506 -3.944
H 3.801 -0.204 -2.836
H 1.481 0.282 -3.407
H 1.428 -0.387 -1.759
Br -5.603 -4.166 3.377
C -6.448 -5.394 4.633
C -5.466 -6.423 5.135
Br -5.139 -7.800 3.795
H -7.308 -5.829 4.124
H -6.798 -4.764 5.454
H -5.875 -6.956 5.996
H -4.497 -6.001 5.401
Br -9.476 -6.264 -4.502
C -8.960 -8.012 -3.807
C -8.080 -8.751 -4.784
Br -9.122 -9.491 -6.256
H -9.881 -8.542 -3.567
H -8.416 -7.800 -2.884
H -7.615 -9.614 -4.303
H -7.305 -8.125 -5.225
Br -2.952 2.465 7.487
C -3.449 3.774 6.132
C -4.868 4.250 6.324
Br -6.150 2.918 5.706
H -3.278 3.308 5.161
H -2.746 4.599 6.263
H -5.062 5.135 5.715
H -5.112 4.469 7.364
Br 11.035 6.281 -5.831
C 10.525 7.577 -7.196
C 9.096 8.027 -7.016
Br 7.841 6.670 -7.635
H 10.715 7.111 -8.163
H 11.211 8.416 -7.062
H 8.891 8.906 -7.629
H 8.841 8.246 -5.979

***

No. 2
The following is a DFT calculation (ωB97M-V/def2-TZVPD) of C25H43F3O3P2SSc as an isolated structure in a non-equilibrium geometry.

Values from the calculation:
* total energy: -3345.12185 Ha
* HOMO: -10.5467 eV
* net charge: +1
* ΔE to the lowest compared entry with this formula, charge and spin: 0.00 kcal per mole
* frontier orbital gap: 7.846 eV

Element x y z (Å)
Sc -0.154 -0.027 1.297
C -0.681 -2.212 2.493
C 0.683 -2.235 2.040
C 0.526 -0.786 3.837
C -0.756 -1.339 3.620
C 1.423 -1.323 2.860
C -1.765 -3.134 2.074
H -1.616 -3.478 1.044
H -2.742 -2.638 2.136
H -1.807 -4.025 2.722
C -1.908 -1.190 4.534
H -2.787 -1.709 4.147
H -2.161 -0.135 4.666
H -1.681 -1.596 5.530
C 0.893 0.068 4.987
End of the molecular data:

I feel like I am currently in the middle of a slow drift of sorts, but in many areas of my life. As a person in the middle of it, i will admit that its pretty confusing being here because you kind of know answers, but you also know things that haven't worked in the past, and so you start having trouble coming up with new ideas to get out of the fog so to speak.

You are definately right about intentionality. I think intentionality is always going to be the method to get out of the slow drift. Specifics of intentionality are hard to pin point sometimes. And when feelings are involved it makes it just a big ball of confusion.

Sometimes my struggle is knowing where to start. I agree on the not approaching a relationship from a temporary mindset. Thanks for these thoughts today.